**Input:**
(one)
BeAlSbOs: relaxed, PBE-GGA.

Values from the calculation:
- magnetization (μB/f.u.) = 0.01
- symmetry = F-43m, No. 216

a = 4.4316 Å, b = 4.4316 Å, c = 4.4316 Å
α = 60.00°, β = 60.00°, γ = 60.00°
Positions (direct):
Al 0.2500 0.2500 0.2500
Be 0.7500 0.7500 0.7500
Os 0.0000 0.0000 0.0000
Sb 0.5000 0.5000 0.5000

(two)
BeAlSbOs: relaxed, PBE-GGA.

Values from the calculation:
- magnetization (μB/f.u.) = 0.00
- symmetry = F-43m, No. 216

a = 4.4354 Å, b = 4.4354 Å, c = 4.4354 Å
α = 60.00°, β = 60.00°, γ = 60.00°
Positions (direct):
Al 0.0000 0.0000 0.0000
Be 0.7500 0.7500 0.7500
Os 0.2500 0.2500 0.2500
Sb 0.5000 0.5000 0.5000

Most stable to least stable: (two), (one)

(one)
TaBeAlOs: relaxed, PBE-GGA.

Values from the calculation:
- magnetization (μB/f.u.) = 0.00
- symmetry = F-43m, No. 216

a = 4.2709 Å, b = 4.2709 Å, c = 4.2709 Å
α = 60.00°, β = 60.00°, γ = 60.00°
Positions (direct):
Al 0.2500 0.2500 0.2500
Be 0.7500 0.7500 0.7500
Os 0.0000 0.0000 0.0000
Ta 0.5000 0.5000 0.5000

(two)
TaBeAlOs: relaxed, PBE-GGA.

Values from the calculation:
- magnetization (μB/f.u.) = 0.00
- symmetry = F-43m, No. 216

a = 4.3056 Å, b = 4.3056 Å, c = 4.3056 Å
α = 60.00°, β = 60.00°, γ = 60.00°
Positions (direct):
Al 0.5000 0.5000 0.5000
Be 0.7500 0.7500 0.7500
Os 0.0000 0.0000 0.0000
Ta 0.2500 0.2500 0.2500

Most stable to least stable: (two), (one)

(one)
PaBeAl: relaxed, PBE-GGA.

Values from the calculation:
- magnetization (μB/f.u.) = 0.01
- symmetry = F-43m, No. 216

a = 4.3388 Å, b = 4.3388 Å, c = 4.3388 Å
α = 60.00°, β = 60.00°, γ = 60.00°
Positions (direct):
Al 0.5000 0.5000 0.5000
Be 0.2500 0.2500 0.2500
Pa 0.0000 0.0000 0.0000

(two)
PaBeAl: relaxed, PBE-GGA.

Values from the calculation:
- magnetization (μB/f.u.) = 0.01
- symmetry = F-43m, No. 216

a = 4.4689 Å, b = 4.4689 Å, c = 4.4689 Å
α = 60.00°, β = 60.00°, γ = 60.00°
Positions (direct):
Al 0.0000 0.0000 0.0000
Be 0.2500 0.2500 0.2500
Pa 0.7500 0.7500 0.7500

(three)
PaBeAl: relaxed, PBE-GGA.

Values from the calculation:
- magnetization (μB/f.u.) = 0.00
- symmetry = F-43m, No. 216

a = 4.6584 Å, b = 4.6584 Å, c = 4.6584 Å
α = 60.00°, β = 60.00°, γ = 60.00°
Positions (direct):
Al 0.2500 0.2500 0.2500
Be 0.7500 0.7500 0.7500
Pa 0.0000 0.0000 0.0000

Most stable to least stable: (one), (two), (three)

(one)
BeAlTlPd: relaxed, PBE-GGA.

Values from the calculation:
- symmetry = F-43m, No. 216

a = 4.5518 Å, b = 4.5518 Å, c = 4.5518 Å
α = 60.00°, β = 60.00°, γ = 60.00°
Positions (direct):
Al 0.0000 0.0000 0.0000
Be 0.7500 0.7500 0.7500
Pd 0.2500 0.2500 0.2500
Tl 0.5000 0.5000 0.5000

(two)
BeAlTlPd: relaxed, PBE-GGA.

Values from the calculation:
- symmetry = F-43m, No. 216

a = 4.5118 Å, b = 4.5118 Å, c = 4.5118 Å
α = 60.00°, β = 60.00°, γ = 60.00°
Positions (direct):
Al 0.2500 0.2500 0.2500
Be 0.7500 0.7500 0.7500
Pd 0.0000 0.0000 0.0000
Tl 0.5000 0.5000 0.5000

Most stable to least stable: (two), (one)

(one)
YBeAlPt: relaxed, PBE-GGA.

Values from the calculation:
- magnetization (μB/f.u.) = 0.00
- symmetry = F-43m, No. 216

a = 4.5797 Å, b = 4.5797 Å, c = 4.5797 Å
α = 60.00°, β = 60.00°, γ = 60.00°
Positions (direct):
Al 0.5000 0.5000 0.5000
Be 0.7500 0.7500 0.7500
Pt 0.2500 0.2500 0.2500
Y 0.0000 0.0000 0.0000

(two)
YBeAlPt: relaxed, PBE-GGA.

Values from the calculation:
- magnetization (μB/f.u.) = 0.00

**To do:**
Repeat the whole of the contents above verbatim, please.

**Written answer:**
(one)
BeAlSbOs: relaxed, PBE-GGA.

Values from the calculation:
- magnetization (μB/f.u.) = 0.01
- symmetry = F-43m, No. 216

a = 4.4316 Å, b = 4.4316 Å, c = 4.4316 Å
α = 60.00°, β = 60.00°, γ = 60.00°
Positions (direct):
Al 0.2500 0.2500 0.2500
Be 0.7500 0.7500 0.7500
Os 0.0000 0.0000 0.0000
Sb 0.5000 0.5000 0.5000

(two)
BeAlSbOs: relaxed, PBE-GGA.

Values from the calculation:
- magnetization (μB/f.u.) = 0.00
- symmetry = F-43m, No. 216

a = 4.4354 Å, b = 4.4354 Å, c = 4.4354 Å
α = 60.00°, β = 60.00°, γ = 60.00°
Positions (direct):
Al 0.0000 0.0000 0.0000
Be 0.7500 0.7500 0.7500
Os 0.2500 0.2500 0.2500
Sb 0.5000 0.5000 0.5000

Most stable to least stable: (two), (one)

(one)
TaBeAlOs: relaxed, PBE-GGA.

Values from the calculation:
- magnetization (μB/f.u.) = 0.00
- symmetry = F-43m, No. 216

a = 4.2709 Å, b = 4.2709 Å, c = 4.2709 Å
α = 60.00°, β = 60.00°, γ = 60.00°
Positions (direct):
Al 0.2500 0.2500 0.2500
Be 0.7500 0.7500 0.7500
Os 0.0000 0.0000 0.0000
Ta 0.5000 0.5000 0.5000

(two)
TaBeAlOs: relaxed, PBE-GGA.

Values from the calculation:
- magnetization (μB/f.u.) = 0.00
- symmetry = F-43m, No. 216

a = 4.3056 Å, b = 4.3056 Å, c = 4.3056 Å
α = 60.00°, β = 60.00°, γ = 60.00°
Positions (direct):
Al 0.5000 0.5000 0.5000
Be 0.7500 0.7500 0.7500
Os 0.0000 0.0000 0.0000
Ta 0.2500 0.2500 0.2500

Most stable to least stable: (two), (one)

(one)
PaBeAl: relaxed, PBE-GGA.

Values from the calculation:
- magnetization (μB/f.u.) = 0.01
- symmetry = F-43m, No. 216

a = 4.3388 Å, b = 4.3388 Å, c = 4.3388 Å
α = 60.00°, β = 60.00°, γ = 60.00°
Positions (direct):
Al 0.5000 0.5000 0.5000
Be 0.2500 0.2500 0.2500
Pa 0.0000 0.0000 0.0000

(two)
PaBeAl: relaxed, PBE-GGA.

Values from the calculation:
- magnetization (μB/f.u.) = 0.01
- symmetry = F-43m, No. 216

a = 4.4689 Å, b = 4.4689 Å, c = 4.4689 Å
α = 60.00°, β = 60.00°, γ = 60.00°
Positions (direct):
Al 0.0000 0.0000 0.0000
Be 0.2500 0.2500 0.2500
Pa 0.7500 0.7500 0.7500

(three)
PaBeAl: relaxed, PBE-GGA.

Values from the calculation:
- magnetization (μB/f.u.) = 0.00
- symmetry = F-43m, No. 216

a = 4.6584 Å, b = 4.6584 Å, c = 4.6584 Å
α = 60.00°, β = 60.00°, γ = 60.00°
Positions (direct):
Al 0.2500 0.2500 0.2500
Be 0.7500 0.7500 0.7500
Pa 0.0000 0.0000 0.0000

Most stable to least stable: (one), (two), (three)

(one)
BeAlTlPd: relaxed, PBE-GGA.

Values from the calculation:
- symmetry = F-43m, No. 216

a = 4.5518 Å, b = 4.5518 Å, c = 4.5518 Å
α = 60.00°, β = 60.00°, γ = 60.00°
Positions (direct):
Al 0.0000 0.0000 0.0000
Be 0.7500 0.7500 0.7500
Pd 0.2500 0.2500 0.2500
Tl 0.5000 0.5000 0.5000

(two)
BeAlTlPd: relaxed, PBE-GGA.

Values from the calculation:
- symmetry = F-43m, No. 216

a = 4.5118 Å, b = 4.5118 Å, c = 4.5118 Å
α = 60.00°, β = 60.00°, γ = 60.00°
Positions (direct):
Al 0.2500 0.2500 0.2500
Be 0.7500 0.7500 0.7500
Pd 0.0000 0.0000 0.0000
Tl 0.5000 0.5000 0.5000

Most stable to least stable: (two), (one)

(one)
YBeAlPt: relaxed, PBE-GGA.

Values from the calculation:
- magnetization (μB/f.u.) = 0.00
- symmetry = F-43m, No. 216

a = 4.5797 Å, b = 4.5797 Å, c = 4.5797 Å
α = 60.00°, β = 60.00°, γ = 60.00°
Positions (direct):
Al 0.5000 0.5000 0.5000
Be 0.7500 0.7500 0.7500
Pt 0.2500 0.2500 0.2500
Y 0.0000 0.0000 0.0000

(two)
YBeAlPt: relaxed, PBE-GGA.

Values from the calculation:
- magnetization (μB/f.u.) = 0.00